Normalizing an image dataset, including spectrograms, is a common preprocessing step for Convolutional Neural Networks (CNNs). Normalization helps ensure that the pixel values of your images are within a consistent range, making it easier for the network to learn patterns. You can normalize a dataset of spectrograms using Python and libraries like NumPy and OpenCV. Here's a step-by-step guide:
1. Import Libraries:
Start by importing the necessary libraries.
import numpy as np
import cv2
1. Load Your Spectrogram Data:
Load your dataset of spectrogram images into a NumPy array. You can use a data loading library like `matplotlib` or `PIL` to load images.
# Load your dataset, assuming it's a list of image paths
# Initialize an empty list to store the loaded spectrograms
-- Unrelated to this piece: materials data --
____________
Theoretical XRD peak list of V3Cr2Sb3O16 for Cu Kα, from a crystal structure in Alexandria, relaxed with PBE+U.
No peak broadening, texture or thermal motion is included.

Atomic structure:
a b c (Å): 10.6451 6.0527 9.1305
angles (deg): 90.00 90.04 90.00
Space group Cm (No. 8)
Unique sites:
V1 0.0000 0.0000 0.0000 x2
V2 0.4140 0.2502 0.4993 x4
Cr1 0.1610 0.0000 0.7186 x2
Cr2 0.4919 0.0000 0.2234 x2
Sb1 0.1619 0.5000 0.4976 x2
Sb2 0.2493 0.2486 0.9961 x4
O1 0.0645 0.2844 0.3689 x4
O2 0.0962 0.2160 0.8695 x4
O3 0.1656 0.5000 0.1087 x2
O4 0.1727 0.0000 0.1164 x2
O5 0.2480 0.2468 0.6009 x4
O6 0.3101 0.0000 0.8602 x2
O7 0.3293 0.5000 0.8857 x2
O8 0.3310 0.5000 0.3947 x2
O9 0.3595 0.0000 0.3792 x2
O10 0.4133 0.2484 0.1022 x4
O11 0.4949 0.5000 0.5981 x2
O12 0.4975 0.0000 0.6115 x2

Principal peaks in the range 2θ from 5° to 70°, in order of rising 2θ:
2theta	Rel. int.
19.3	28
19.5	100
34.1	21
35.1	19
35.3	19
35.5	43
39.5	24
45.6	28
60.5	16
61.8	17

----------

Entry 1:
Diffraction record for Ta2GaB. The powder diffraction line list is calculated, not measured: it uses the GGA-PBE geometry in OQMD and Cu Kα (weighted mean of Kα1 and Kα2).
Intensities are scaled so that the largest is 100.

Atomic structure:
```
data_Ta2GaB
_cell_length_a 3.1961
_cell_length_b 3.1961
_cell_length_c 13.6454
_cell_angle_alpha 90.00
_cell_angle_beta 90.00
_cell_angle_gamma 120.00
_symmetry_space_group_name_H-M 'P 63/m m c'
_symmetry_Int_Tables_number 194
_symmetry_space_group_name_Hall '-P 6c 2c'
loop_
_atom_site_label
_atom_site_fract_x
_atom_site_fract_y
_atom_site_fract_z
_atom_site_occupancy
Ta1 0.3333 0.6667 0.0921 1
Ga1 0.3333 0.6667 0.7500 1
B1 0.0000 0.0000 0.0000 1
```

Peak list (12 most intense, 2θ = 15–90°, low angle first)
d = 3.411 Å, 26.12°, I 8, hkl 0 0 4; d = 2.768 Å, 32.34°, I 24, hkl 1 0 0; d = 2.713 Å, 33.02°, I 12, hkl 1 0 1; d = 2.364 Å, 38.06°, I 100, hkl 1 0 3; d = 2.274 Å, 39.63°, I 18, hkl 0 0 6; d = 2.149 Å, 42.04°, I 5, hkl 1 0 4; d = 1.757 Å, 52.05°, I 14, hkl 1 0 6; d = 1.598 Å, 57.69°, I 21, hkl 1 1 0; d = 1.594 Å, 57.86°, I 7, hkl 1 0 7; d = 1.330 Å, 70.87°, I 13, hkl 1 0 9; d = 1.324 Å, 71.22°, I 16, hkl 2 0 3; d = 1.308 Å, 72.26°, I 18, hkl 1 1 6

***

Entry 2:
Diffraction record for Ag3As2Cl3. The powder diffraction line list is calculated, not measured: it uses the GGA-PBE geometry in OQMD and Cu Kα (weighted mean of Kα1 and Kα2).
Intensities are scaled so that the largest is 100.

Atomic structure:
```
data_Ag3As2Cl3
_cell_length_a 4.029
_cell_length_b 4.029
_cell_length_c 13.799
_cell_angle_alpha 90.00
_cell_angle_beta 90.00
_cell_angle_gamma 90.00
_symmetry_space_group_name_H-M 'P -4 m 2'
_symmetry_Int_Tables_number 115
loop_
_symmetry_equiv_pos_as_xyz
'x,y,z'
'y,-x,-z'
'-x,-y,z'
'-y,x,-z'
'-x,y,z'
'-y,-x,-z'
'x,-y,z'
'y,x,-z'
loop_
_atom_site_label
_atom_site_fract_x
_atom_site_fract_y
_atom_site_fract_z
_atom_site_occupancy
Ag1 0.000 0.000 0.000 1
Ag2 0.000 0.000 0.500 1
Ag3 0.500 0.500 0.000 1
As1 0.000 0.500 0.872 1
____________
spectrograms = []
for path in spectrogram_paths:
image = cv2.imread(path, cv2.IMREAD_GRAYSCALE) # Load image in grayscale
1. Normalize Spectrograms:
Normalize the pixel values of the spectrograms to the range [0, 1]. You can do this by dividing each pixel value by the maximum pixel value (usually 255 for 8-bit images).
# Convert the list of spectrograms to a NumPy array
spectrograms = np.array(spectrograms)
# Normalize the spectrograms
normalized_spectrograms = spectrograms / 255.0
1. Optional: Standardization (Mean and Variance):
(Here the article breaks off for crystal structures)
# Tb2Pm3Sm8
Theoretical powder XRD pattern, Cu Kα. Input: a cell relaxed with PBE.
Neutral-atom scattering factors, no anomalous dispersion.

Crystal structure
a b c (Å): 20.408 7.730 5.753
angles (deg): 90.00 90.05 90.00
Space group C2/m (No. 12)
One atom of each set of equivalent atoms:
Tb 0.241 0.000 0.499 x4
Pm 0.000 0.000 0.500 x2
Pm 0.000 0.289 0.000 x4
Sm 0.108 0.292 0.500 x8
Sm 0.134 0.000 0.000 x4
Sm 0.173 0.500 0.000 x4

Peak list (12 most intense, 10° ≤ 2θ ≤ 90°, sorted by position)
two_theta  Rel. int.  (hkl)
24.63  23  2 2 0
29.21  37  5 1 1
30.53  35  6 0 -1
31.09  45  0 0 2
32.98  100  4 2 -1
35.15  22  8 0 0
40.06  13  2 2 2
47.62  19  8 0 -2
56.52  22  4 2 -3
57.45  11  0 4 2
63.51  11  9 3 2
66.71  10  5 5 1

=====

# Tl6SnHg23
Theoretical powder XRD pattern, Cu Kα. Input: a cell relaxed with PBE.
Neutral-atom scattering factors, no anomalous dispersion.

Crystal structure
a b c (Å): 15.051 15.051 15.051
angles (deg): 90.00 90.00 90.00
Space group Fm-3m (No. 225)
One atom of each set of equivalent atoms:
Tl 0.000 0.000 0.220 x24
Sn 0.000 0.000 0.000 x4
Hg 0.000 0.000 0.500 x4
Hg 0.000 0.250 0.250 x24
Hg 0.120 0.120 0.380 x32
Hg 0.155 0.155 0.155 x32

Peak list (12 most intense, 10° ≤ 2θ ≤ 90°, sorted by position)
two_theta  Rel. int.  (hkl)
29.06  6  4 2 2
30.87  25  3 3 3
33.68  100  4 4 0
35.28  6  5 3 1
46.34  10  5 5 3
48.38  12  8 0 0
58.50  8  9 3 1
60.24  22  8 4 4
61.28  6  9 3 3
63.99  11  7 7 3
70.83  6  8 8 0
86.51  6  9 7 7

=====

# PrNdNiAu
Theoretical powder XRD pattern, Cu Kα. Input: a cell relaxed with PBE.
Neutral-atom scattering factors, no anomalous dispersion.

Crystal structure
a b c (Å): 4.628 3.953 10.857
angles (deg): 90.00 90.00 90.00
Space group Amm2 (No. 38)
One atom of each set of equivalent atoms:
Pr 0.000 0.000 0.000 x2
Nd 0.500 0.000 0.722 x2
Ni 0.000 0.000 0.280 x2
Au 0.500 0.000 0.435 x2

Peak list (12 most intense, 10° ≤ 2θ ≤ 90°, sorted by position)
two_theta  Rel. int.  (hkl)
16.33  17  0 0 2
30.87  100  1 1 1
33.00  23  0 0 4
33.57  30  0 1 3
38.45  26  1 0 4
38.94  98  2 0 0
45.91  19  0 2 0
51.93  16  2 0 4
52.33  17  2 1 3
61.72  16  2 2 0
64.55  13  0 1 7
78.01  16  2 1 7

=====

# La5TlIn2Ir2
Theoretical powder XRD pattern, Cu Kα. Input: a cell relaxed with PBE.
Neutral-atom scattering factors, no anomalous dispersion.

Crystal structure
a b c (Å): 12.451 12.451 3.876
angles (deg): 90.00 90.00 90.00
Space group P4/mbm (No. 127)
One atom of each set of equivalent atoms:
La 0.000 0.500 0.000 x2
La 0.067 0.213 0.000 x8
Tl 0.000 0.000 0.500 x2
In 0.186 0.686 0.500 x4
Ir 0.134 0.366 0.500 x4

Peak list (12 most intense, 10° ≤ 2θ ≤ 90°, sorted by position)
two_theta  Rel. int.  (hkl)
15.92  35  2 1 0
29.58  28  4 1 0
30.46  13  3 3 0
30.73  25  2 2 1
32.15  23  4 2 0
32.41  100  3 1 1
34.79  43  3 2 1
37.04  12  4 0 1
41.01  10  4 4 0
46.88  17  0 0 2
49.84  14  6 0 1
50.42  10  6 1 1

=====

# MgZnCu14
Theoretical powder XRD pattern, Cu Kα. Input: a cell relaxed with PBE.
If you want to further standardize the data (make it have zero mean and unit variance), you can compute the mean and standard deviation of your dataset and use them for standardization. This step is optional and may not be necessary depending on your specific use case.
You can now use the `normalized_spectrograms` or `standardized_spectrograms` as input data for your CNN.
Remember that the exact preprocessing steps may vary depending on your specific dataset and the requirements of your CNN model. The key idea is to ensure that your input data has consistent and manageable values that are suitable for training deep learning models like CNNs.
You can easily perform data normalization on a set of spectrograms in Python using libraries like NumPy. Spectrograms are typically presented as 2D arrays, and you have the flexibility to employ different normalization methods based on your specific needs.
import numpy as np
# Assuming you have a dataset of spectrograms stored as a list of 2D arrays
**Next to the article, the page also holds records of crystals**
+++
# AgBi2F12
Theoretical PXRD pattern, Cu Kα, 1.54184 Å. Input: DFT lattice parameters and positions (GGA-PBE).
Neutral-atom scattering factors, no anomalous dispersion.

Atomic structure:
Unit cell a=5.416 b=5.749 c=9.225 alpha=76.00 beta=88.65 gamma=64.76
Fractional coordinates of all 15 atoms:
Ag (0.000, 0.000, 0.000)
Bi (0.225, 0.518, 0.727)
Bi (0.775, 0.482, 0.273)
F (0.181, 0.252, 0.278)
F (0.183, 0.263, 0.624)
F (0.186, 0.267, 0.933)
F (0.269, 0.741, 0.873)
F (0.299, 0.751, 0.548)
F (0.364, 0.713, 0.208)
F (0.636, 0.287, 0.792)
F (0.701, 0.249, 0.452)
F (0.731, 0.259, 0.127)
F (0.814, 0.733, 0.067)
F (0.817, 0.737, 0.376)
F (0.819, 0.748, 0.722)

The 6 most intense peaks (10° ≤ 2θ ≤ 90°), in order of falling intensity:
2θ/deg  d/Å  I_rel
21.5  4.125  100.0
22.9  3.890  91.3
23.0  3.862  87.3
19.9  4.455  79.4
17.6  5.026  56.6
30.0  2.976  50.4

~~~~~

[1]
For RbTl2Pd4, a crystal structure in Alexandria, relaxed with PBE gives the theoretical XRD peak list in this record (CuKα).

Most intense lines, 2θ from 5° to 70°, by angle:
two_theta  Rel. int.
14.53  33
25.40  14
29.65  11
32.85  62
39.70  100
41.91  19
44.60  23
50.09  9
54.72  13
67.31  31

Lattice parameters (Å, degrees): 8.6223 8.6223 8.4275 90.00 90.00 90.00
Space group I4/mcm (No. 140)
Asymmetric unit:
Rb 0.0000 0.0000 0.2500 (multiplicity 4)
Tl 0.1567 0.3433 0.0000 (multiplicity 8)
Pd 0.1406 0.3594 0.3358 (multiplicity 16)

***

[2]
For RePd5, a crystal structure in Alexandria, relaxed with PBE gives the theoretical XRD peak list in this record (CuKα).

Most intense lines, 2θ from 5° to 70°, by angle:
two_theta  Rel. int.
12.47  6
19.84  5
26.69  2
38.02  33
38.17  35
41.32  2
42.37  100
48.88  2
54.97  23
67.58  6

Lattice parameters (Å, degrees): 4.7152 14.2000 2.7724 90.00 90.00 90.00
Space group Cmmm (No. 65)
Asymmetric unit:
Re 0.0000 0.0000 0.0000 (multiplicity 2)
Pd 0.0000 0.1596 0.5000 (multiplicity 4)
Pd 0.0000 0.3293 0.0000 (multiplicity 4)
Pd 0.0000 0.5000 0.5000 (multiplicity 2)

~~~~~

Record 1
Starting from a DFT-relaxed cell (GGA-PBE, Alexandria), the powder diffractogram of Ho4Tm3 was calculated for Cu Kα, 1.54184 Å.
Lines closer than 0.1° are merged.

Structure:
Cell: 3.497 4.949 24.526 Å, 90.00 90.00 90.00°
Space group Immm (No. 71)
Symmetry-distinct sites (fractional):
Ho (0.000, 0.000, 0.071) (multiplicity 4)
Ho (0.000, 0.000, 0.214) (multiplicity 4)
Tm (0.000, 0.000, 0.357) (multiplicity 4)
Tm (0.000, 0.000, 0.500) (multiplicity 2)

Top 8 peaks for 10 to 90 degrees two-theta, sorted by position:
2θ = 31.30°, d 2.858, rel. 100, hkl 1 1 0
2θ = 36.30°, d 2.475, rel. 51, hkl 1 0 7
2θ = 52.26°, d 1.750, rel. 30, hkl 1 2 7
2θ = 62.20°, d 1.492, rel. 43, hkl 2 1 7
2θ = 65.30°, d 1.429, rel. 12, hkl 2 2 0
2θ = 85.46°, d 1.136, rel. 9, hkl 1 3 14
2θ = 85.56°, d 1.135, rel. 9, hkl 3 1 0
2θ = 88.26°, d 1.107, rel. 8, hkl 2 2 14



Record 2
Starting from a DFT-relaxed cell (GGA-PBE, Alexandria), the powder diffractogram of YHo10Tm2 was calculated for Cu Kα, 1.54184 Å.
+++
Normalizing an image dataset for CNN means adjusting the pixel values of images so they fall in a similar range, typically between 0 and 1. This helps the CNN learn faster and perform better. Here's how to do it:
1. Load the image dataset.
2. Convert each pixel value from its current range (usually 0-255) to a range between 0 and 1 by dividing by 255.
3. Use the normalized images as input for the CNN.
This process ensures consistent data scaling, making training more stable and efficient.